== Data ==
(1)
Computed powder diffractogram
Compound: KPaTe4Pd2
Radiation: Cu Kα, 1.54184 Å
Structure: a cell relaxed with PBE
Kinematic intensities with the Lorentz-polarization factor, no thermal factor.

Largest 6 diffraction maxima, in order of rising 2θ, 2θ from 10° to 90°:
(0 1 1), 15.34 deg, d 5.776, rel. 64.1
(1 1 2), 27.27 deg, d 3.270, rel. 63.2
(0 2 2), 30.97 deg, d 2.888, rel. 49.8
(2 0 2), 33.71 deg, d 2.659, rel. 36.4
(2 2 0), 34.57 deg, d 2.595, rel. 100.0
(1 1 4), 46.58 deg, d 1.950, rel. 38.8

Atomic structure:
```
16
Lattice="6.8587 0.0000 0.0000 0.0000 7.9351 0.0000 0.0000 0.0000 8.4224" Properties=species:S:1:pos:R:3 pbc="T T T"
K 0.0000 0.0000 0.0000
K 3.4294 3.9676 4.2112
Pa 0.0000 0.0000 4.2112
Pa 3.4294 3.9676 0.0000
Te 1.5076 1.8821 2.3750
Te 1.5076 6.0530 6.0474
Te 1.9218 2.0854 6.5861
Te 1.9218 5.8497 1.8362
Te 4.9370 2.0854 1.8362
Te 4.9370 5.8497 6.5861
Te 5.3512 1.8821 6.0474
Te 5.3512 6.0530 2.3750
Pd 0.0000 3.9676 1.3963
Pd 0.0000 3.9676 7.0261
Pd 3.4294 0.0000 2.8149
Pd 3.4294 0.0000 5.6075
```

---

(2)
Computed powder diffractogram
Compound: LaSm4Tm3
Radiation: Cu Kα, 1.54184 Å
Structure: a cell relaxed with PBE
Kinematic intensities with the Lorentz-polarization factor, no thermal factor.

Largest 6 diffraction maxima, in order of rising 2θ, 2θ from 10° to 90°:
(0 0 2), 28.21 deg, d 3.164, rel. 23.8
(4 0 0), 31.15 deg, d 2.871, rel. 24.4
(2 2 1), 32.31 deg, d 2.771, rel. 100.0
(4 0 2), 42.52 deg, d 2.126, rel. 15.7
(6 2 1), 56.16 deg, d 1.638, rel. 20.8
(4 2 3), 60.08 deg, d 1.540, rel. 15.1

Atomic structure:
```
16
Lattice="11.4853 0.0000 0.0000 0.0000 7.3219 0.0000 0.0000 0.0000 6.3135" Properties=species:S:1:pos:R:3 pbc="T T T"
La 0.0000 0.9191 0.0000
La 5.7426 6.4028 3.1567
Sm 0.0000 2.7412 3.2019
Sm 0.0000 4.6083 6.3078
Sm 2.8234 4.5853 2.1341
Sm 2.9192 2.7366 5.2909
Sm 5.7426 2.7136 3.1511
Sm 5.7426 4.5807 0.0452
Sm 8.5661 2.7366 5.2909
Sm 8.6619 4.5853 2.1341
Tm 0.0000 6.4165 3.1801
Tm 2.8614 0.8958 2.1216
Tm 2.8813 6.4262 5.2784
Tm 5.7426 0.9055 0.0233
Tm 8.6040 6.4262 5.2784
Tm 8.6239 0.8958 2.1216
```

---

(3)
Computed powder diffractogram
Compound: SiB3N3
Radiation: Cu Kα, 1.54184 Å
Structure: a cell relaxed with PBE
Kinematic intensities with the Lorentz-polarization factor, no thermal factor.

Largest 6 diffraction maxima, in order of rising 2θ, 2θ from 10° to 90°:
(1 1 0), 26.82 deg, d 3.325, rel. 3.5
(2 0 0), 38.29 deg, d 2.351, rel. 50.9
(2 1 0), 43.02 deg, d 2.103, rel. 6.3
(2 1 1), 47.36 deg, d 1.919, rel. 100.0
(3 2 1), 75.69 deg, d 1.257, rel. 43.8
(4 0 0), 81.97 deg, d 1.175, rel. 13.1

Atomic structure:
```
14
Lattice="4.7017 0.0000 0.0000 0.0000 4.7017 0.0000 0.0000 0.0000 4.7017" Properties=species:S:1:pos:R:3 pbc="T T T"
Si 0.0000 0.0000 0.0000
Si 2.3509 2.3509 2.3509
B 0.0000 1.1754 2.3509
B 0.0000 3.5263 2.3509
B 1.1754 2.3509 0.0000
B 2.3509 0.0000 1.1754
B 2.3509 0.0000 3.5263
B 3.5263 2.3509 0.0000
N 0.0000 2.3509 1.1754
N 0.0000 2.3509 3.5263
N 1.1754 0.0000 2.3509
N 2.3509 1.1754 0.0000
N 2.3509 3.5263 0.0000
N 3.5263 0.0000 2.3509
```

---

(4)
Computed powder diffractogram
Compound: Pr4InAg
Radiation: Cu Kα, 1.54184 Å
Structure: a cell relaxed with PBE
Kinematic intensities with the Lorentz-polarization factor, no thermal factor.

Largest 6 diffraction maxima, in order of rising 2θ, 2θ from 10° to 90°:
(2 0 2), 31.28 deg, d 2.860, rel. 100.0
(3 1 0), 31.67 deg, d 2.825, rel. 97.4
(1 1 -2), 32.78 deg, d 2.732, rel. 95.4
(5 1 2), 55.20 deg, d 1.664, rel. 30.9
(1 1 4), 57.33 deg, d 1.607, rel. 34.3
(2 2 2), 58.06 deg, d 1.589, rel. 33.7

Atomic structure:
```
12
Lattice="13.1779 0.0000 0.0000 0.0000 3.8207 0.0000 -2.3115 0.0000 7.4663" Properties=species:S:1:pos:R:3 pbc="T T T"
Pr 1.1617 0.0000 2.4760
Pr 0.1195 0.0000 6.1138
Pr 4.1579 1.9104 1.3525
Pr 3.1157 1.9104 4.9903
Pr 7.7506 1.9104 2.4760
Pr 6.7084 1.9104 6.1138
Pr 10.7469 0.0000 1.3525
Pr 9.7047 0.0000 4.9903
In 0.0000 1.9104 0.0000
In 6.5889 0.0000 0.0000
Ag -1.1558 1.9104 3.7331
Ag 5.4332 0.0000 3.7331
```

== Assignment ==
Your job: search the entries above for the word "powder" and type out each line that has it.

== Completed ==
Computed powder diffractogram
Computed powder diffractogram
Computed powder diffractogram
Computed powder diffractogram